**What to do**
Echo only the last part of the data further below, starting with the line that has "crystal system:".

**Input**
Computed, not measured: a geometry-optimized VRhF3 structure at the GGA+U level of DFT.

Computed properties:
* DFT total energy: -23.66 eV per cell
* crystal system: cubic
* space group: Pm-3m (221)
* density: 4597 kg/m³
* magnetization: 4.12 μB per formula unit

a b c (Å): 4.239 4.239 4.239
angles (deg): 90.00 90.00 90.00
Site moments in Bohr magnetons follow the coordinates.
Fractional coordinates of all 5 atoms:
V: 0.500 0.500 0.500  3.23
Rh: 0.000 0.000 0.000  0.32
F: 0.000 0.500 0.000  0.01
F: 0.000 0.000 0.500  0.01
F: 0.500 0.000 0.000  0.01

* * * * *

Computed, not measured: a geometry-optimized SrNdNiO4 structure at the GGA+U level of DFT.

Cell lengths 6.7839, 6.7839, 6.7839 Å; angles 147.23, 147.23, 47.02 degrees
Last column: nearest neighbours and their distance in Å.
Atoms (fractional coordinates):
Sr 0.6418 0.6418 0.0000  5 O 2.43-2.68
O 0.4914 0.9914 0.5000  2 Ni 1.92
O 0.1729 0.1729 0.0000  1 Ni 2.11, 1 Nd 2.35
O 0.8371 0.8371 0.0000  1 Ni 2.07
Nd 0.3618 0.3618 0.0000  5 O 2.35-2.50
Ni 0.0035 0.0035 0.0000  6 O 1.92-2.11
O 0.9914 0.4914 0.5000  2 Ni 1.92

Total magnetic moment   1.0 μB/cell
Energy above the most stable polymorph in this dataset   0 meV/atom
Total energy   -44.96 eV/f.u.

* * * * *

CrGeTe2 | PBE | optimized geometry

```
8
Lattice="6.366 0.000 0.000 0.000 6.366 0.000 3.183 3.183 6.495" Properties=species:S:1:pos:R:3 pbc="T T T"
Cr 3.183 3.183 0.000
Cr 3.183 6.366 3.248
Ge 0.000 0.000 0.000
Ge 6.366 3.183 3.248
Te 4.627 1.591 1.624
Te 1.738 4.774 1.624
Te 4.774 4.921 4.871
Te 7.957 7.810 4.871
```

## Properties
Formation energy from raw total energies, eV/atom: 0.135

* * * * *

Entry 1:
# LiHoCdIr, optimized geometry, DFT PBE
data_LiHoCdIr
_symmetry_space_group_name_H-M 'F -4 3 m'
_symmetry_Int_Tables_number 216
_symmetry_space_group_name_Hall 'F -4 2 3'
_cell_length_a 6.7210
_cell_length_b 6.7210
_cell_length_c 6.7210
_cell_angle_alpha 90.00
_cell_angle_beta 90.00
_cell_angle_gamma 90.00
loop_
_atom_site_label
_atom_site_type_symbol
_atom_site_fract_x
_atom_site_fract_y
_atom_site_fract_z
Li1 Li 0.0000 0.0000 0.0000
Ho1 Ho 0.2500 0.2500 0.2500
Cd1 Cd 0.2500 0.2500 0.7500
Ir1 Ir 0.0000 0.0000 0.5000
# **Final energy**: -4.479 eV per atom

Entry 2:
# AcSbRu2N, optimized geometry, DFT PBE
data_AcSbRu2N
_symmetry_space_group_name_H-M 'C m c m'
_symmetry_Int_Tables_number 63
_symmetry_space_group_name_Hall '-C 2c 2'
_cell_length_a 4.1936
_cell_length_b 11.9918
_cell_length_c 7.5708
_cell_angle_alpha 90.00
_cell_angle_beta 90.00
_cell_angle_gamma 90.00
loop_
_atom_site_label
_atom_site_type_symbol
_atom_site_fract_x
_atom_site_fract_y
_atom_site_fract_z
Ac1 Ac 0.0000 0.0506 0.2500
Sb1 Sb 0.0000 0.2271 0.7500
Ru1 Ru 0.0000 0.3471 0.0511
N1 N 0.0000 0.5000 0.0000
# **Formation energy (no corrections)**: -2.56 eV/f.u.

Entry 3:
# ScSiGeC2, optimized geometry, DFT PBE
data_ScSiGeC2
_symmetry_space_group_name_H-M 'P 4/m m m'
_symmetry_Int_Tables_number 123
_symmetry_space_group_name_Hall '-P 4 2'
_cell_length_a 3.9347
_cell_length_b 3.9347
_cell_length_c 5.3069
_cell_angle_alpha 90.00
_cell_angle_beta 90.00
_cell_angle_gamma 90.00
loop_
_atom_site_label
_atom_site_type_symbol
_atom_site_fract_x
_atom_site_fract_y
_atom_site_fract_z
Sc1 Sc 0.0000 0.0000 0.0000
Si1 Si 0.5000 0.5000 0.0000
Ge1 Ge 0.0000 0.0000 0.5000
C1 C 0.0000 0.5000 0.5000
# **Formation energy (no corrections)**: 8.62 eV/f.u.

**Written answer**
* crystal system: cubic
* space group: Pm-3m (221)
* density: 4597 kg/m³
* magnetization: 4.12 μB per formula unit

a b c (Å): 4.239 4.239 4.239
angles (deg): 90.00 90.00 90.00
Site moments in Bohr magnetons follow the coordinates.
Fractional coordinates of all 5 atoms:
V: 0.500 0.500 0.500  3.23
Rh: 0.000 0.000 0.000  0.32
F: 0.000 0.500 0.000  0.01
F: 0.000 0.000 0.500  0.01
F: 0.500 0.000 0.000  0.01

* * * * *

Computed, not measured: a geometry-optimized SrNdNiO4 structure at the GGA+U level of DFT.

Cell lengths 6.7839, 6.7839, 6.7839 Å; angles 147.23, 147.23, 47.02 degrees
Last column: nearest neighbours and their distance in Å.
Atoms (fractional coordinates):
Sr 0.6418 0.6418 0.0000  5 O 2.43-2.68
O 0.4914 0.9914 0.5000  2 Ni 1.92
O 0.1729 0.1729 0.0000  1 Ni 2.11, 1 Nd 2.35
O 0.8371 0.8371 0.0000  1 Ni 2.07
Nd 0.3618 0.3618 0.0000  5 O 2.35-2.50
Ni 0.0035 0.0035 0.0000  6 O 1.92-2.11
O 0.9914 0.4914 0.5000  2 Ni 1.92

Total magnetic moment   1.0 μB/cell
Energy above the most stable polymorph in this dataset   0 meV/atom
Total energy   -44.96 eV/f.u.

* * * * *

CrGeTe2 | PBE | optimized geometry

```
8
Lattice="6.366 0.000 0.000 0.000 6.366 0.000 3.183 3.183 6.495" Properties=species:S:1:pos:R:3 pbc="T T T"
Cr 3.183 3.183 0.000
Cr 3.183 6.366 3.248
Ge 0.000 0.000 0.000
Ge 6.366 3.183 3.248
Te 4.627 1.591 1.624
Te 1.738 4.774 1.624
Te 4.774 4.921 4.871
Te 7.957 7.810 4.871
```

## Properties
Formation energy from raw total energies, eV/atom: 0.135

* * * * *

Entry 1:
# LiHoCdIr, optimized geometry, DFT PBE
data_LiHoCdIr
_symmetry_space_group_name_H-M 'F -4 3 m'
_symmetry_Int_Tables_number 216
_symmetry_space_group_name_Hall 'F -4 2 3'
_cell_length_a 6.7210
_cell_length_b 6.7210
_cell_length_c 6.7210
_cell_angle_alpha 90.00
_cell_angle_beta 90.00
_cell_angle_gamma 90.00
loop_
_atom_site_label
_atom_site_type_symbol
_atom_site_fract_x
_atom_site_fract_y
_atom_site_fract_z
Li1 Li 0.0000 0.0000 0.0000
Ho1 Ho 0.2500 0.2500 0.2500
Cd1 Cd 0.2500 0.2500 0.7500
Ir1 Ir 0.0000 0.0000 0.5000
# **Final energy**: -4.479 eV per atom

Entry 2:
# AcSbRu2N, optimized geometry, DFT PBE
data_AcSbRu2N
_symmetry_space_group_name_H-M 'C m c m'
_symmetry_Int_Tables_number 63
_symmetry_space_group_name_Hall '-C 2c 2'
_cell_length_a 4.1936
_cell_length_b 11.9918
_cell_length_c 7.5708
_cell_angle_alpha 90.00
_cell_angle_beta 90.00
_cell_angle_gamma 90.00
loop_
_atom_site_label
_atom_site_type_symbol
_atom_site_fract_x
_atom_site_fract_y
_atom_site_fract_z
Ac1 Ac 0.0000 0.0506 0.2500
Sb1 Sb 0.0000 0.2271 0.7500
Ru1 Ru 0.0000 0.3471 0.0511
N1 N 0.0000 0.5000 0.0000
# **Formation energy (no corrections)**: -2.56 eV/f.u.

Entry 3:
# ScSiGeC2, optimized geometry, DFT PBE
data_ScSiGeC2
_symmetry_space_group_name_H-M 'P 4/m m m'
_symmetry_Int_Tables_number 123
_symmetry_space_group_name_Hall '-P 4 2'
_cell_length_a 3.9347
_cell_length_b 3.9347
_cell_length_c 5.3069
_cell_angle_alpha 90.00
_cell_angle_beta 90.00
_cell_angle_gamma 90.00
loop_
_atom_site_label
_atom_site_type_symbol
_atom_site_fract_x
_atom_site_fract_y
_atom_site_fract_z
Sc1 Sc 0.0000 0.0000 0.0000
Si1 Si 0.5000 0.5000 0.0000
Ge1 Ge 0.0000 0.0000 0.5000
C1 C 0.0000 0.5000 0.5000
# **Formation energy (no corrections)**: 8.62 eV/f.u.